Researchers Report First Therapy Appearing to Reverse Decline in Parkinson’s

Posted in GUMC Stories | Tagged brain, Lewy body dementia, mind, neuroscience, Parkinson's disease
OCTOBER 17, 2015 – An FDA-approved drug for leukemia improved cognition, motor skills and non-motor function in patients with Parkinson’s disease and Lewy body dementia in a small clinical trial, say researchers at Georgetown University Medical Center (GUMC).
The drug, nilotinib (known as Tasigna® by Novartis) also led to statistically significant and encouraging changes in toxic proteins linked to disease progression.
### What comes next are records of crystals, not part of the page
/*
No. 1
Starting from the GGA-PBE geometry in Alexandria, the powder diffractogram of ZnPdRh2Pb was computed for Cu Kα X-rays.

Atomic structure:
Unit cell a=4.9829 b=4.9829 c=4.9827 alpha=90.00 beta=90.00 gamma=90.00
Element x y z (fractional)
1 Zn 0.0000 0.0000 0.0000
2 Pd 0.5000 0.5000 0.0000
3 Rh 0.0000 0.5000 0.5000
4 Rh 0.5000 0.0000 0.5000
5 Pb 0.5000 0.5000 0.5000

Top 10 peaks for 2θ = 10–90°, most intense first:
- 2θ 36.05, rel. 100
- 2θ 17.80, rel. 91
- 2θ 51.90, rel. 70
- 2θ 40.48, rel. 47
- 2θ 25.28, rel. 39
- 2θ 87.56, rel. 32
- 2θ 55.31, rel. 24
- 2θ 64.82, rel. 24
- 2θ 31.09, rel. 20
- 2θ 44.54, rel. 18

***

No. 2
Starting from the GGA-PBE geometry in Alexandria, the powder diffractogram of Ta3Pd4PbS12 was computed for Cu Kα X-rays.

Atomic structure:
Unit cell a=8.1706 b=8.1706 c=8.1706 alpha=105.94 beta=105.94 gamma=105.94
Element x y z (fractional)
1 Ta 0.0000 0.5538 0.4462
2 Ta 0.4462 0.0000 0.5538
3 Ta 0.5538 0.4462 0.0000
4 Pd 0.0718 0.5000 0.9282
5 Pd 0.5000 0.5000 0.5000
6 Pd 0.5000 0.9282 0.0718
7 Pd 0.9282 0.0718 0.5000
8 Pb 0.0000 0.0000 0.0000
9 S 0.0040 0.2568 0.3449
10 S 0.1044 0.8956 0.5000
11 S 0.2568 0.3449 0.0040
12 S 0.3250 0.6750 0.5000
13 S 0.3449 0.0040 0.2568
14 S 0.5000 0.1044 0.8956
15 S 0.5000 0.3250 0.6750
16 S 0.6551 0.7432 0.9960
17 S 0.6750 0.5000 0.3250
18 S 0.7432 0.9960 0.6551
19 S 0.8956 0.5000 0.1044
20 S 0.9960 0.6551 0.7432

Top 10 peaks for 2θ = 10–90°, most intense first:
- 2θ 24.48, rel. 100
- 2θ 22.83, rel. 34
- 2θ 27.35, rel. 27
- 2θ 30.03, rel. 26
- 2θ 39.63, rel. 24
- 2θ 41.22, rel. 23
- 2θ 50.45, rel. 23
- 2θ 18.27, rel. 18
- 2θ 45.72, rel. 17
- 2θ 46.68, rel. 16

***

No. 3
Starting from the GGA-PBE geometry in Alexandria, the powder diffractogram of UPdPb2S5 was computed for Cu Kα X-rays.

Atomic structure:
Unit cell a=8.9487 b=8.9487 c=12.6611 alpha=90.00 beta=90.00 gamma=154.40
Element x y z (fractional)
1 U 0.2131 0.7869 0.5000
2 U 0.7869 0.2131 0.0000
3 Pd 0.4200 0.5800 0.9225
4 Pd 0.5800 0.4200 0.4225
5 Pb 0.0940 0.9060 0.1310
6 Pb 0.1083 0.8917 0.7767
7 Pb 0.8917 0.1083 0.2767
8 Pb 0.9060 0.0940 0.6310
9 S 0.0666 0.9334 0.5276
10 S 0.2704 0.7296 0.1384
11 S 0.2882 0.7118 0.8657
12 S 0.3620 0.6380 0.4750
13 S 0.4957 0.5043 0.7587
14 S 0.5043 0.4957 0.2587
15 S 0.6380 0.3620 0.9750
16 S 0.7118 0.2882 0.3657
17 S 0.7296 0.2704 0.6384
18 S 0.9334 0.0666 0.0276

Top 10 peaks for 2θ = 10–90°, most intense first:
- 2θ 23.41, rel. 100
- 2θ 31.37, rel. 94
- 2θ 37.14, rel. 76
- 2θ 28.13, rel. 75
- 2θ 17.31, rel. 43
- 2θ 27.02, rel. 38
- 2θ 31.56, rel. 36
- 2θ 45.27, rel. 35
- 2θ 52.04, rel. 33
- 2θ 45.76, rel. 30

***

No. 4
Starting from the GGA-PBE geometry in Alexandria, the powder diffractogram of SbPd5Pb4 was computed for Cu Kα X-rays.

Atomic structure:
Unit cell a=6.9925 b=6.9925 c=5.2109 alpha=111.84 beta=111.84 gamma=81.27
Element x y z (fractional)
1 Sb 0.0000 0.0000 0.0000
2 Pd 0.0037 0.3828 0.4014
3 Pd 0.3828 0.0037 0.4014
4 Pd 0.6161 0.9959 0.0132
5 Pd 0.9959 0.6161 0.0132
*/
### End of the records of crystals
The study’s findings were presented at Neuroscience 2015, the annual meeting of the Society for Neuroscience, in Chicago on Oct. 17.
Charbel Moussa, MBBS, PhD, who directs Georgetown’s Laboratory of Dementia and Parkinsonism, conducted the preclinical research that led to the discovery of nilotinib for the treatment of neurodegenerative diseases.
Walking Again
To conduct the clinical study, he partnered with Fernando Pagan, MD, a GUMC associate professor of neurology who directs the Movement Disorders Program at MedStar Georgetown University Hospital.
“To my knowledge, this study represents the first time a therapy appears to reverse – to a greater or lesser degree depending on stage of disease – cognitive and motor decline in patients with these neurodegenerative disorders,” says Pagan. “But it is critical to conduct larger and more comprehensive studies before determining the drug’s true impact.”
**Calculated crystals that have nothing to do with the page**
'''
# 1
The following is a calculated XRD peak list of BaLiGdTe3. It was derived from the PBE geometry in OQMD, using Cu Kα (weighted mean of Kα1 and Kα2).
Neutral-atom scattering factors, no anomalous dispersion.

The 10 most intense peaks (10 to 90 degrees two-theta), by angle:
2θ 19.24, rel. 25
2θ 27.15, rel. 100
2θ 28.46, rel. 54
2θ 28.79, rel. 29
2θ 33.20, rel. 19
2θ 37.82, rel. 27
2θ 39.68, rel. 55
2θ 39.82, rel. 24
2θ 49.57, rel. 23
2θ 56.00, rel. 19

Crystal structure
a b c (Å): 9.9535 9.9535 9.5152
angles (deg): 103.50 103.50 26.37
Fractional coordinates of all 12 atoms:
Ba 0.1358 0.1358 0.0666
Ba 0.8642 0.8642 0.9334
Li 0.4937 0.4937 0.3019
Li 0.5063 0.5063 0.6981
Gd 0.1657 0.1657 0.5844
Gd 0.8343 0.8343 0.4156
Te 0.0000 0.0000 0.5000
Te 0.3264 0.3264 0.1920
Te 0.3317 0.3317 0.6390
Te 0.5000 0.5000 0.0000
Te 0.6683 0.6683 0.3610
Te 0.6736 0.6736 0.8080

---

# 2
The following is a calculated XRD peak list of BaGdMgSb2. It was derived from the PBE geometry in OQMD, using Cu Kα (weighted mean of Kα1 and Kα2).
Neutral-atom scattering factors, no anomalous dispersion.

The 10 most intense peaks (10 to 90 degrees two-theta), by angle:
2θ 18.86, rel. 25
2θ 26.32, rel. 40
2θ 26.60, rel. 24
2θ 30.06, rel. 54
2θ 31.17, rel. 23
2θ 31.36, rel. 34
2θ 34.20, rel. 100
2θ 36.98, rel. 35
2θ 46.17, rel. 27
2θ 49.14, rel. 21

Crystal structure
a b c (Å): 9.7021 9.7021 7.1758
angles (deg): 90.00 90.00 150.98
Fractional coordinates of all 10 atoms:
Ba 0.1977 0.8023 0.5000
Ba 0.8023 0.1977 0.0000
Gd 0.0139 0.9861 0.2150
Gd 0.9861 0.0139 0.7150
Mg 0.4049 0.5951 0.3919
Mg 0.5951 0.4049 0.8919
Sb 0.1605 0.8395 0.9938
Sb 0.4410 0.5590 0.9923
Sb 0.5590 0.4410 0.4923
Sb 0.8395 0.1605 0.4938

=====

# 1
Structure and computed X-ray diffraction stick pattern of Sm4GeTe (a crystal structure in Alexandria, relaxed with GGA-PBE; copper Kα).
Lines closer than 0.1° are merged.

Main lines, in order of rising 2θ (2θ = 10–80°):
2θ (°)	I_rel
16.7	264
29.5	359
32.8	871
32.9	1000
35.1	571
38.8	296
44.7	231
47.0	239
58.6	293
68.8	360

Structure:
```
data_Sm4GeTe
_cell_length_a 11.336
_cell_length_b 11.336
_cell_length_c 6.302
_cell_angle_alpha 90.00
_cell_angle_beta 90.00
_cell_angle_gamma 152.11
_space_group_name_H-M_alt 'P 1'
_space_group_IT_number 1
loop_
_space_group_symop_operation_xyz
'x,y,z'
loop_
_atom_site_label
_atom_site_type_symbol
_atom_site_fract_x
_atom_site_fract_y
_atom_site_fract_z
Sm1 Sm 0.071 0.929 0.750
Sm2 Sm 0.213 0.787 0.504
Sm3 Sm 0.213 0.787 0.996
Sm4 Sm 0.368 0.632 0.750
Sm5 Sm 0.632 0.368 0.250
Sm6 Sm 0.787 0.213 0.004
Sm7 Sm 0.787 0.213 0.496
Sm8 Sm 0.929 0.071 0.250
Ge1 Ge 0.344 0.656 0.250
Ge2 Ge 0.656 0.344 0.750
Te1 Te 0.070 0.930 0.250
Te2 Te 0.930 0.070 0.750
```

# 2
Structure and computed X-ray diffraction stick pattern of Sm4ThGe4 (a crystal structure in Alexandria, relaxed with GGA-PBE; copper Kα).
Lines closer than 0.1° are merged.

Main lines, in order of rising 2θ (2θ = 10–80°):
2θ (°)	I_rel
17.6	92
25.9	439
30.0	1000
42.9	754
50.8	141
'''
**Here the page continues**
The investigators report that one individual confined to a wheelchair was able to walk again and that three others who could not speak were able to hold conversations.
Pagan notes there was no control group for comparison in the study, and that the drug was not compared with a placebo or other medications used to treat Parkinson’s
Safety Test
But the researchers report that during use of the medication by the participants, production of dopamine increased in many patients, requiring doses of L-dopa and other dopamine-sparing drugs used to treat Parkinson’s to be lowered or stopped.
Stopping nilotinib treatment appears to lead to cognitive and motor decline despite reinstating L-dopa therapies.
The study’s primary objective was to test safety.
“The use of nilotinib in doses much smaller than are used to treat cancer, which is up to 800 mg daily, was well tolerated with no serious side effects,” Pagan explains. “The dose used in this study was 150 and 300 mg daily.”The researchers also found that the drug penetrates the blood-brain barrier in amounts greater than dopamine drugs.
The observed efficacy in cognition, motor skills and non-motor function improvement (such as constipation) for many patients was the most dramatic result, Pagan notes.
“Study participants with earlier stage disease responded best, as did those diagnosed with Lewy body dementia, often described as a combination of Parkinson’s and Alzheimer’s diseases,” he says.
Life-Changing Improvement
Alan Hoffman, a professor emeritus of social science education at Georgia State University, was diagnosed with Parkinson’s disease in 1997. He says he participated in several clinical trials with no benefit until he enrolled in Pagan’s study.
“Before the nilotinib, I did almost nothing around the house,” he says. “Now, I empty the garbage, unload the dishwasher, load the washer and the dryer, set the table, even take responsibility for grilling.”
In the three weeks prior to enrolling in the study, Hoffman says he fell eight times, but he only fell once during six months on the study. His speech has improved, as has his thinking.
“My wife says it’s life-changing for her and for my children and grandchildren,” Hoffman says. “To say that nilotinib has made a change in our lives is a huge understatement.”
Translational Success
Moussa, an inventor on a Georgetown University patent application for nilotinib and other similar drugs for neurodegenerative diseases, notes that the research went to clinical trials only two years after his initial discovery.
He first set out to find approved cancer drugs that could penetrate the blood-brain barrier and turn on the “garbage disposal machinery” inside neurons to clear toxic intracellular proteins and prevent their accumulation within, or secretion outside of, brain cells.
“A lot of institutions talk about expediting the translation of research from the lab to the bedside, but it doesn’t happen quickly very often,” Moussa says. “This is a solid example of how that is possible and why it is so important.”
_These data records were left in the page by mistake_
┌──
Tb2Pm2YSc: calculated PXRD pattern (Cu Kα (λ = 1.5418 Å)), based on the GGA-PBE geometry in Alexandria.
Kinematic intensities with the Lorentz-polarization factor, no thermal factor.

The 10 most intense peaks (10° ≤ 2θ ≤ 90°), sorted by position:
two_theta	intensity
25.87	8
31.89	100
41.54	12
45.72	16
53.19	4
56.87	26
63.39	15
66.74	6
75.86	7
81.64	7

Cell and atoms:
```
Tb2Pm2YSc
1.0
6.888 0.000 0.000
0.000 5.607 0.000
0.000 0.000 9.710
Tb Pm Y Sc
4 4 2 2
Direct
0.250 0.000 0.161
0.250 0.500 0.670
0.750 0.000 0.839
0.750 0.500 0.330
0.000 0.500 0.000
0.250 0.000 0.812
0.500 0.500 0.000
0.750 0.000 0.188
0.250 0.500 0.349
0.750 0.500 0.651
0.000 0.000 0.500
0.500 0.000 0.500
```

TbPmY5Sc2: calculated PXRD pattern (Cu Kα (λ = 1.5418 Å)), based on the GGA-PBE geometry in Alexandria.
Kinematic intensities with the Lorentz-polarization factor, no thermal factor.

The 10 most intense peaks (10° ≤ 2θ ≤ 90°), sorted by position:
two_theta	intensity
12.52	32
26.11	13
26.67	21
31.78	62
32.42	100
32.98	67
34.66	47
41.93	16
57.02	19
57.40	18

Cell and atoms:
```
TbPmY5Sc2
1.0
2.816 -10.728 0.000
2.816 10.728 0.000
0.000 0.000 9.399
Tb Pm Y Sc
2 2 10 4
Direct
0.097 0.903 0.500
0.903 0.097 0.000
0.316 0.684 0.899
0.684 0.316 0.399
0.031 0.969 0.170
0.111 0.889 0.873
0.193 0.807 0.202
0.235 0.765 0.582
0.491 0.509 0.902
0.509 0.491 0.402
0.765 0.235 0.082
0.807 0.193 0.702
0.889 0.111 0.373
0.969 0.031 0.670
0.364 0.636 0.216
0.387 0.613 0.593
0.613 0.387 0.093
0.636 0.364 0.716
```

TbPm3Y6Sc2: calculated PXRD pattern (Cu Kα (λ = 1.5418 Å)), based on the GGA-PBE geometry in Alexandria.
Kinematic intensities with the Lorentz-polarization factor, no thermal factor.

The 10 most intense peaks (10° ≤ 2θ ≤ 90°), sorted by position:
two_theta	intensity
30.90	100
31.05	32
35.87	66
51.54	23
51.73	22
61.34	22
61.40	18
61.57	13
64.38	12
84.14	11

Cell and atoms:
```
TbPm3Y6Sc2
1.0
3.072 -5.319 0.000
3.072 5.319 0.000
-2.045 0.000 11.523
Tb Pm Y Sc
1 3 6 2
Direct
0.000 0.000 0.000
0.167 0.833 0.500
0.500 0.500 0.500
0.833 0.167 0.500
0.081 0.417 0.242
0.255 0.255 0.758
0.417 0.081 0.242
0.583 0.919 0.758
0.745 0.745 0.242
0.919 0.583 0.758
0.333 0.667 0.000
0.667 0.333 0.000
```

TbPm2Y6Sc: calculated PXRD pattern (Cu Kα (λ = 1.5418 Å)), based on the GGA-PBE geometry in Alexandria.
Kinematic intensities with the Lorentz-polarization factor, no thermal factor.

The 10 most intense peaks (10° ≤ 2θ ≤ 90°), sorted by position:
two_theta	intensity
11.07	36
21.57	37
28.46	67
29.54	49
29.69	86
30.88	100
31.02	46
31.19	48
31.61	45
32.76	74

Cell and atoms:
```
TbPm2Y6Sc
1.0
4.628 -7.990 0.000
4.628 7.990 0.000
-0.395 0.000 8.729
Tb Pm Y Sc
2 4 12 2
Direct
0.031 0.969 0.750
0.969 0.031 0.250
0.211 0.319 0.552
0.319 0.211 0.052
0.681 0.789 0.948
0.789 0.681 0.448
0.050 0.460 0.293
0.134 0.794 0.051
0.206 0.866 0.449
0.263 0.526 0.909
0.460 0.050 0.793
0.474 0.737 0.591
0.526 0.263 0.409
0.540 0.950 0.207
0.737 0.474 0.091
0.794 0.134 0.551
0.866 0.206 0.949
0.950 0.540 0.707
└──
Patients Continue Treatment
Hoffman and other patients in the clinical trial can continue taking nilotinib as part of an expanded access study. Georgetown researchers are now planning larger clinical trials with nilotinib for patients with Parkinson’s and other similar diseases including Alzheimer’s disease, likely to begin in 2016.
The phase I study received philanthropic funding and was supported by the Georgetown-Howard Universities Center for Clinical and Translational Science.
Co-authors of the study represent the MedStar Georgetown Movement Disorders Program, GUMC’s Translational Neurotherapeutics Program and the Laboratory for Dementia and Parkinsonism, and the Georgetown-Howard Universities Center for Clinical and Translational Science Clinical Research Unit.
Nancy Robertson